Meeting one of my seamtresses has always been a thing that sent me to another level of thoughts.
N, a single mother with 5 kids to fend for. Her husband died of sickness a year ago, with no pension and little EPF. 2 of her kids have haemophilia. All are schooling, with one college goer, but luckily is under government subsidy.
These materials data were left in the article by mistake =
/*
[1]
# Li2Pb13
Computed powder diffractogram, CuKα. Input: a GGA-PBE-relaxed structure.
Lines closer than 0.1° are merged.

Principal peaks in the range 2θ from 10° to 90°, by angle:
index  2θ/deg  d_spacing  I/Imax
1 0 4  20.12  4.414  38.6
0 2 1  22.52  3.948  70.1
1 0 7  31.67  2.826  23.3
2 1 4  34.05  2.633  65.8
0 3 3  35.85  2.505  100.0
0 2 7  37.26  2.413  21.2
1 3 1  40.70  2.217  18.1
3 2 4  52.57  1.741  20.1
1 2 11  56.70  1.623  17.6
3 3 0  59.79  1.547  20.0

Atomic structure:
```
data_Li2Pb13
_cell_length_a 9.2800
_cell_length_b 9.2800
_cell_length_c 21.1281
_cell_angle_alpha 90.00
_cell_angle_beta 90.00
_cell_angle_gamma 120.00
_symmetry_space_group_name_H-M 'R -3 m'
_symmetry_Int_Tables_number 166
_symmetry_space_group_name_Hall '-R 3 2"'
loop_
_atom_site_label
_atom_site_type_symbol
_atom_site_fract_x
_atom_site_fract_y
_atom_site_fract_z
Li1 Li 0.0000 0.0000 0.2398
Pb1 Pb 0.0000 0.0000 0.5000
Pb2 Pb 0.0883 0.5442 0.2990
Pb3 Pb 0.0972 0.5486 0.5641
```

---

[2]
# Li3Pb7
Computed powder diffractogram, CuKα. Input: a GGA-PBE-relaxed structure.
Lines closer than 0.1° are merged.

Principal peaks in the range 2θ from 10° to 90°, by angle:
index  2θ/deg  d_spacing  I/Imax
2 0 1  19.04  4.662  47.4
3 1 -1  26.13  3.411  33.8
1 1 -2  31.91  2.805  100.0
5 1 0  33.10  2.706  94.0
0 2 0  37.05  2.426  37.9
6 0 -2  37.52  2.397  30.8
4 0 2  38.56  2.335  30.5
6 2 -2  53.75  1.705  22.4
4 2 2  54.55  1.682  21.6
1 3 -2  63.54  1.464  27.2

Atomic structure:
```
data_Li3Pb7
_cell_length_a 16.755
_cell_length_b 4.853
_cell_length_c 6.876
_cell_angle_alpha 90.00
_cell_angle_beta 103.36
_cell_angle_gamma 90.00
_symmetry_space_group_name_H-M 'C 1 2/m 1'
_symmetry_Int_Tables_number 12
loop_
_symmetry_equiv_pos_as_xyz
'x,y,z'
'-x,-y,-z'
'-x,y,-z'
'x,-y,z'
'x+1/2,y+1/2,z'
'-x+1/2,-y+1/2,-z'
'-x+1/2,y+1/2,-z'
'x+1/2,-y+1/2,z'
loop_
_atom_site_label
_atom_site_type_symbol
_atom_site_fract_x
_atom_site_fract_y
_atom_site_fract_z
Li1 Li 0.000 0.000 0.000
Li2 Li 0.192 0.000 0.620
Pb1 Pb 0.000 0.000 0.500
Pb2 Pb 0.091 0.500 0.831
Pb3 Pb 0.115 0.500 0.333
Pb4 Pb 0.201 0.000 0.124
```

---

[3]
# Li4Pd2Pb
Computed powder diffractogram, CuKα. Input: a GGA-PBE-relaxed structure.
Lines closer than 0.1° are merged.

Principal peaks in the range 2θ from 10° to 90°, by angle:
index  2θ/deg  d_spacing  I/Imax
1 0 0  18.61  4.768  35.1
0 1 -1  19.21  4.621  68.0
1 1 1  22.32  3.983  100.0
1 -1 0  22.56  3.942  78.5
0 0 2  26.83  3.323  41.1
2 0 1  35.44  2.533  64.0
0 2 -2  38.99  2.310  67.5
-1 1 2  39.35  2.290  39.6
1 1 3  39.76  2.267  43.5
1 -1 3  41.82  2.160  34.6

Atomic structure:
```
data_Li4Pd2Pb
_cell_length_a 5.067
_cell_length_b 6.961
_cell_length_c 7.086
_cell_angle_alpha 85.32
_cell_angle_beta 70.21
_cell_angle_gamma 88.77
_symmetry_space_group_name_H-M 'P 1'
_symmetry_Int_Tables_number 1
loop_
_symmetry_equiv_pos_as_xyz
'x,y,z'
loop_
_atom_site_label
_atom_site_type_symbol
_atom_site_fract_x
_atom_site_fract_y
_atom_site_fract_z
*/
(Forget about the racial status here, coz what she get from the government is definitely not enough to feed 5 kids. Forget about your questions about "Why having so many children when you cant feed them?" coz you cant really judge others base on your own perception. Just stay focus on her will of living.)
Despite all these, ever since i first met her till now, she has never showed any grouses on her situation, nor did she seek for sympathy from anyone.
She once told me that, "People dont have to give me money, better to give me skills, coz with skills i can take care of myself."
And indeed, she is constantly seeking for opportunity to increase her income, no matter how small the project is. Imagine working as a cleaning lady and at the same time taking up sewing projects. She says, "I tak pilih-pilih la. Apa saje saya buat."
(Can you do that? Not calculating on whether how much is the return. Coz that is out of the choice. )
And surprisingly, one lead to another. Most of the small projects are now leading to bigger projects.
But of course, big project here doesnt mean drawing few millions, or few thousands, or few hundreds. They are only "a little" more than the usuall stuffs. But do you think she mind that all? Most people will be thinking, "why should i do small small things? No return, or less return." Well, i think if that comes to your mind, that's because you still have some other choices (such as having the luxury of staying at home, doing nothing and can still put food to the table). We are talking about a woman with no other choices left, except for her own physical body and strong will.
When asked how was her sale in one of the exhibition, with her usuall smile she said "Kadang2 ade yang naik, ade yang turun. Biasala, kalau turun, mungkin saya ade buat kesilapan." And i knew the sales was not of those drawing alot due to the crowd.
**Materials data that have nothing to do with the entry**
Diffraction record for CrH6SO7. The powder XRD pattern is calculated, not measured: it uses a DFT-relaxed cell (GGA+U, Alexandria) and λ = 1.5418 Å (Cu Kα).
Neutral-atom scattering factors, no anomalous dispersion.

Largest 10 diffraction maxima, by intensity, 2θ = 15–90°:
| d_spacing | 2theta | intensity |
| --- | --- | --- |
| 4.484 | 19.80 | 100 |
| 3.353 | 26.59 | 71 |
| 3.762 | 23.65 | 65 |
| 5.289 | 16.76 | 59 |
| 2.554 | 35.14 | 53 |
| 3.530 | 25.23 | 52 |
| 2.965 | 30.14 | 49 |
| 3.138 | 28.45 | 44 |
| 4.185 | 21.23 | 30 |
| 2.336 | 38.53 | 27 |

Cell and atoms:
a = 5.774 Å, b = 7.294 Å, c = 7.547 Å
α = 88.26°, β = 85.43°, γ = 66.81°
Space group P1 (No. 1)
One atom of each set of equivalent atoms:
1 Cr 0.000 0.000 0.000 [1 per cell]
2 Cr 0.266 0.467 0.500 [1 per cell]
3 H 0.003 0.357 0.273 [1 per cell]
4 H 0.098 0.947 0.641 [1 per cell]
5 H 0.159 0.131 0.705 [1 per cell]
6 H 0.311 0.520 0.141 [1 per cell]
7 H 0.430 0.893 0.199 [1 per cell]
8 H 0.499 0.780 0.012 [1 per cell]
9 H 0.525 0.051 0.962 [1 per cell]
10 H 0.546 0.687 0.511 [1 per cell]
11 H 0.555 0.337 0.205 [1 per cell]
12 H 0.589 0.575 0.699 [1 per cell]
13 H 0.628 0.110 0.773 [1 per cell]
14 H 0.842 0.416 0.462 [1 per cell]
15 S 0.748 0.968 0.419 [1 per cell]
16 S 0.981 0.499 0.919 [1 per cell]
17 O 0.005 0.335 0.047 [1 per cell]
18 O 0.016 0.360 0.404 [1 per cell]
19 O 0.086 0.636 0.992 [1 per cell]
20 O 0.128 0.405 0.749 [1 per cell]
21 O 0.158 0.000 0.741 [1 per cell]
22 O 0.374 0.903 0.076 [1 per cell]
23 O 0.424 0.467 0.240 [1 per cell]
24 O 0.543 0.565 0.576 [1 per cell]
25 O 0.592 0.854 0.381 [1 per cell]
26 O 0.607 0.132 0.547 [1 per cell]
27 O 0.644 0.106 0.904 [1 per cell]
28 O 0.712 0.612 0.882 [1 per cell]
29 O 0.800 0.063 0.248 [1 per cell]
30 O 0.989 0.832 0.491 [1 per cell]

* * * * *

No. 1
This entry pairs a crystal structure of SrCo2As2O8 with its simulated XRD peak list. Radiation: copper Kα. Structure: a crystal structure in the Materials Project, relaxed with PBE+U.
Lines closer than 0.1° are merged.

Structural model:
```
SrCo2As2O8
1.0
5.872 0.000 0.000
-0.954 7.056 0.000
-2.929 -3.042 8.249
Sr Co As O
2 4 4 16
direct
0.180 0.243 0.490 Sr
0.820 0.757 0.510 Sr
0.076 0.790 0.912 Co
0.341 0.226 0.909 Co
0.659 0.774 0.091 Co
0.924 0.210 0.088 Co
0.183 0.689 0.257 As
0.477 0.832 0.728 As
0.523 0.168 0.272 As
0.817 0.311 0.743 As
0.027 0.308 0.922 O
0.125 0.862 0.405 O
0.159 0.464 0.295 O
0.231 0.926 0.779 O
0.258 0.081 0.088 O
0.348 0.618 0.906 O
0.365 0.584 0.744 O
0.479 0.781 0.267 O
0.521 0.219 0.733 O
0.635 0.416 0.256 O
0.652 0.382 0.094 O
0.742 0.919 0.912 O
0.769 0.074 0.221 O
0.841 0.536 0.705 O
0.875 0.138 0.595 O
0.973 0.692 0.078 O
```

Most intense lines, 2θ = 10–90°, low angle first:
26.9°, rel. 100.0; 29.7°, rel. 87.2; 30.3°, rel. 82.9; 31.8°, rel. 73.5; 31.8°, rel. 42.1; 35.8°, rel. 38.1

No. 2
**The materials data stop here**
Do you think of this way? She didnt even pull down her face and said "tak banyak that good lo." Most people i met do this all the time, and so even before they realy venture into anything, i would think, they are not going to make it.
But N is different. She has got the long sights on her future and ever willing to learn, to stand up by herself, to be always positive and most importantly never give up. Yet if you ever see her smile, you know she qualifies for an advertisement on "GENTLENESS".
By the way, once when her daughter was sick, she could even stay confidently that her daughter is getting better and i really believe this was the factor that make the little one healed faster. Can you stay that calm and empower your kids to get better when they are sick?
I see her as a giant. And I see her as a successfull woman already.
May N be blessed with the greatest joy and the utmost success!